(Entries)
********
Crystalline LiYPb2 at its relaxed geometry. Source: Alexandria, functional PBE.

Values from the calculation:
uncorrected energy	-4.322	eV/atom

The structure in CIF format:
```
data_LiYPb2
_cell_length_a 7.3542
_cell_length_b 8.0294
_cell_length_c 3.5991
_cell_angle_alpha 90.00
_cell_angle_beta 90.00
_cell_angle_gamma 90.00
_space_group_name_H-M_alt 'C m m m'
_space_group_IT_number 65
_space_group_name_Hall '-C 2 2'
loop_
_atom_site_label
_atom_site_type_symbol
_atom_site_fract_x
_atom_site_fract_y
_atom_site_fract_z
Li1 Li 0.0000 0.0000 0.0000
Y1 Y 0.0000 0.5000 0.0000
Pb1 Pb 0.2500 0.2500 0.5000
```

Crystalline LiYPb4 at its relaxed geometry. Source: Alexandria, functional PBE.

Values from the calculation:
uncorrected energy	-3.878	eV/atom

The structure in CIF format:
```
data_LiYPb4
_cell_length_a 9.1026
_cell_length_b 9.1026
_cell_length_c 9.1026
_cell_angle_alpha 90.00
_cell_angle_beta 90.00
_cell_angle_gamma 90.00
_space_group_name_H-M_alt 'F -4 3 m'
_space_group_IT_number 216
_space_group_name_Hall 'F -4 2 3'
loop_
_atom_site_label
_atom_site_type_symbol
_atom_site_fract_x
_atom_site_fract_y
_atom_site_fract_z
Li1 Li 0.0000 0.0000 0.0000
Y1 Y 0.2500 0.2500 0.2500
Pb1 Pb 0.1236 0.1236 0.6236
```

----------

GGA-PBE KMgTe3As, optimized geometry; electronic total energy = -40.506 eV/cell; density = 4117 kg/m³; energy relative to the elements, uncorrected = -13.4 kcal/mol of atoms
1.0
9.582 0.000 0.000
0.000 4.376 0.000
-3.341 0.000 10.027
K Mg Te As
2 2 6 2
Direct
0.213 0.250 0.249
0.787 0.750 0.751
0.090 0.250 0.616
0.910 0.750 0.384
0.128 0.250 0.890
0.219 0.750 0.530
0.467 0.750 0.147
0.533 0.250 0.853
0.781 0.250 0.470
0.872 0.750 0.110
0.333 0.750 0.884
0.667 0.250 0.116



GGA-PBE K2MgZnAs2, optimized geometry; electronic total energy = -35.525 eV/cell; energy of formation = -567 meV/atom; density = 3356 kg/m³
1.0
-3.145 7.881 3.172
3.145 -7.881 3.172
3.145 7.881 -3.172
K Mg Zn As
4 2 2 4
Direct
0.175 0.243 0.418
0.325 0.743 0.068
0.675 0.257 0.932
0.825 0.757 0.582
0.250 0.750 0.500
0.750 0.250 0.500
0.250 0.250 0.000
0.750 0.750 0.000
0.095 0.759 0.854
0.405 0.259 0.664
0.595 0.741 0.336
0.905 0.241 0.146



GGA-PBE K2MnAs, optimized geometry; electronic total energy = -14.632 eV/cell; Fermi-level density of states = 4.81 states/eV/cell; energy of formation = 345 meV/atom; density = 3174 kg/m³
1.0
-2.672 2.672 3.812
2.672 -2.672 3.812
2.672 2.672 -3.812
K Mn As
2 1 1
Direct
0.000 0.000 0.000
0.750 0.250 0.500
0.250 0.750 0.500
0.500 0.500 0.000



GGA-PBE KMn2As, optimized geometry; electronic total energy = -21.823 eV/cell; Fermi-level density of states = 1.62 states/eV/cell; energy of formation = 566 meV/atom; density = 4029 kg/m³
1.0
-1.625 2.805 5.061
1.625 -2.805 5.061
1.625 2.805 -5.061
K Mn As
1 2 1
Direct
0.000 0.000 0.000
0.322 0.822 0.500
0.544 0.544 0.000
0.721 0.221 0.500



GGA-PBE KMnAs2, optimized geometry; electronic total energy = -16.956 eV/cell; Fermi-level density of states = 3.80 states/eV/cell; energy of formation = 653 meV/atom; density = 5532 kg/m³
1.0
0.000 3.320 3.320
3.320 0.000 3.320
3.320 3.320 0.000
K Mn As
1 1 2
Direct
0.000 0.000 0.000
0.500 0.500 0.500
0.250 0.250 0.250
0.750 0.750 0.750



GGA-PBE KMnAs2, optimized geometry; electronic total energy = -40.482 eV/cell; Fermi-level density of states = 0.00 states/eV/cell; energy of formation = -169 meV/atom; density = 3454 kg/m³
1.0
-3.054 3.054 6.287
3.054 -3.054 6.287
3.054 3.054 -6.287
K Mn As
2 2 4
Direct
0.375 0.625 0.750
0.625 0.375 0.250
0.125 0.875 0.250
0.875 0.125 0.750
0.000 0.000 0.000
0.000 0.000 0.500
0.000 0.500 0.000
0.500 0.000 0.500



GGA-PBE KMn2As, optimized geometry; electronic total energy = -23.018 eV/cell; Fermi-level density of states = 2.71 states/eV/cell; energy of formation = 267 meV/atom; density = 3867 kg/m³
1.0
3.754 0.000 0.000
0.000 3.764 0.000
0.000 0.000 6.802
K Mn As
1 2 1
Direct
0.000 0.000 0.000
0.000 0.500 0.534
0.500 0.000 0.534
0.500 0.500 0.311
********
(Wanted)
What is needed: set down every line further up that contains the word "Pb1".
(Reply)
Pb1 Pb 0.2500 0.2500 0.5000
Pb1 Pb 0.1236 0.1236 0.6236